[Brief]
Next, write out the data further below without altering anything.

[Listing]
********
Entry 1:
The following is a calculated X-ray powder pattern of Y12ThSc2. It was derived from a DFT-relaxed cell (PBE, Alexandria), using Cu Ka.

The 10 most intense peaks (10° ≤ 2θ ≤ 80°), in order of rising 2θ:
(2 0 0), 26.26 deg, 3.393 Å, rel. 30
(0 2 7), 29.30 deg, 3.048 Å, rel. 54
(0 0 9), 31.22 deg, 2.865 Å, rel. 36
(2 2 1), 31.43 deg, 2.847 Å, rel. 30
(2 2 -2), 31.57 deg, 2.834 Å, rel. 52
(2 2 2), 32.16 deg, 2.784 Å, rel. 25
(2 0 5), 32.30 deg, 2.772 Å, rel. 100
(2 0 -6), 32.82 deg, 2.729 Å, rel. 40
(0 4 0), 33.02 deg, 2.713 Å, rel. 36
(0 4 1), 33.21 deg, 2.698 Å, rel. 25

Lattice parameters (Å, degrees): 6.7956 10.8520 25.8170 90.00 92.81 90.00
Space group C2/m (No. 12)
Unique sites:
1 Y 0.0133 0.2490 0.0708 [8 per cell]
2 Y 0.1472 0.1694 0.4466 [8 per cell]
3 Y 0.1559 0.5000 0.4450 [4 per cell]
4 Y 0.1864 0.1755 0.6664 [8 per cell]
5 Y 0.1992 0.5000 0.6538 [4 per cell]
6 Y 0.2109 0.2616 0.7971 [8 per cell]
7 Y 0.2259 0.5000 0.8725 [4 per cell]
8 Y 0.2274 0.0000 0.8669 [4 per cell]
9 Th 0.2484 0.5000 0.0016 [4 per cell]
10 Sc 0.0341 0.0000 0.2418 [4 per cell]
11 Sc 0.0562 0.5000 0.2449 [4 per cell]

***

Entry 2:
The following is a calculated X-ray powder pattern of YTh2Sc7. It was derived from a DFT-relaxed cell (PBE, Alexandria), using Cu Ka.

The 10 most intense peaks (10° ≤ 2θ ≤ 80°), in order of rising 2θ:
(1 3 0), 17.44 deg, 5.085 Å, rel. 35
(1 5 0), 21.85 deg, 4.068 Å, rel. 65
(0 0 1), 27.22 deg, 3.276 Å, rel. 45
(2 4 0), 31.96 deg, 2.800 Å, rel. 29
(1 3 1), 32.52 deg, 2.753 Å, rel. 100
(0 10 0), 33.03 deg, 2.712 Å, rel. 56
(1 5 1), 35.18 deg, 2.551 Å, rel. 39
(2 6 0), 35.30 deg, 2.542 Å, rel. 27
(1 7 1), 38.87 deg, 2.317 Å, rel. 55
(2 2 1), 40.80 deg, 2.212 Å, rel. 26

Lattice parameters (Å, degrees): 6.1495 27.1221 3.2749 90.00 90.00 90.00
Space group Cmmm (No. 65)
Unique sites:
1 Y 0.0000 0.0000 0.0000 [2 per cell]
2 Th 0.0000 0.2000 0.5000 [4 per cell]
3 Sc 0.0000 0.3088 0.0000 [4 per cell]
4 Sc 0.0000 0.5000 0.5000 [2 per cell]
5 Sc 0.2476 0.3997 0.5000 [8 per cell]

***

Entry 3:
The following is a calculated X-ray powder pattern of Y10ThSc4. It was derived from a DFT-relaxed cell (PBE, Alexandria), using Cu Ka.

The 10 most intense peaks (10° ≤ 2θ ≤ 80°), in order of rising 2θ:
(2 1 1), 21.05 deg, 4.221 Å, rel. 46
(3 1 0), 22.90 deg, 3.884 Å, rel. 67
(1 1 2), 28.96 deg, 3.083 Å, rel. 65
(3 2 1), 29.51 deg, 3.027 Å, rel. 38
(2 4 0), 32.60 deg, 2.747 Å, rel. 100
(4 1 1), 32.99 deg, 2.715 Å, rel. 24
(1 3 2), 35.71 deg, 2.514 Å, rel. 77
(3 3 2), 41.51 deg, 2.176 Å, rel. 26
(6 2 0), 46.72 deg, 1.944 Å, rel. 68
(2 4 4), 66.09 deg, 1.414 Å, rel. 24

Lattice parameters (Å, degrees): 12.2828 12.2828 6.5966 90.00 90.00 90.00
Space group I4/m (No. 87)
Unique sites:
1 Y 0.0000 0.5000 0.2500 [4 per cell]
2 Y 0.1210 0.7219 0.2428 [16 per cell]
3 Th 0.0000 0.0000 0.0000 [2 per cell]
4 Sc 0.0675 0.1722 0.5000 [8 per cell]

***

Entry 4:
The following is a calculated X-ray powder pattern of Y3ThSc. It was derived from a DFT-relaxed cell (PBE, Alexandria), using Cu Ka.

The 10 most intense peaks (10° ≤ 2θ ≤ 80°), in order of rising 2θ:
(1 0 1), 15.64 deg, 5.667 Å, rel. 41
(0 0 6), 21.98 deg, 4.043 Å, rel. 40
(1 1 3), 28.74 deg, 3.107 Å, rel. 36
(1 0 7), 30.00 deg, 2.979 Å, rel. 54
(0 2 1), 30.91 deg, 2.893 Å, rel. 100
(0 1 8), 33.30 deg, 2.690 Å, rel. 53
(0 2 4), 34.14 deg, 2.627 Å, rel. 53
(2 0 5), 35.95 deg, 2.498 Å, rel. 73
(1 2 8), 51.26 deg, 1.782 Å, rel. 32
(2 2 0), 54.55 deg, 1.682 Å, rel. 38

Lattice parameters (Å, degrees): 6.7295 6.7295 24.2585 90.00 90.00 120.00
Space group R-3m (No. 166, hexagonal axes)
Unique sites:
1 Y 0.0071 0.5035 0.3880 [18 per cell]
2 Th 0.0000 0.0000 0.4303 [6 per cell]
3 Sc 0.0000 0.0000 0.1664 [6 per cell]

***

Entry 5:
The following is a calculated X-ray powder pattern of Y2Th5Sc5. It was derived from a DFT-relaxed cell (PBE, Alexandria), using Cu Ka.

The 10 most intense peaks (10° ≤ 2θ ≤ 80°), in order of rising 2θ:
(1 1 0), 19.54 deg, 4.543 Å, rel. 13
********

[Response]
Entry 1:
The following is a calculated X-ray powder pattern of Y12ThSc2. It was derived from a DFT-relaxed cell (PBE, Alexandria), using Cu Ka.

The 10 most intense peaks (10° ≤ 2θ ≤ 80°), in order of rising 2θ:
(2 0 0), 26.26 deg, 3.393 Å, rel. 30
(0 2 7), 29.30 deg, 3.048 Å, rel. 54
(0 0 9), 31.22 deg, 2.865 Å, rel. 36
(2 2 1), 31.43 deg, 2.847 Å, rel. 30
(2 2 -2), 31.57 deg, 2.834 Å, rel. 52
(2 2 2), 32.16 deg, 2.784 Å, rel. 25
(2 0 5), 32.30 deg, 2.772 Å, rel. 100
(2 0 -6), 32.82 deg, 2.729 Å, rel. 40
(0 4 0), 33.02 deg, 2.713 Å, rel. 36
(0 4 1), 33.21 deg, 2.698 Å, rel. 25

Lattice parameters (Å, degrees): 6.7956 10.8520 25.8170 90.00 92.81 90.00
Space group C2/m (No. 12)
Unique sites:
1 Y 0.0133 0.2490 0.0708 [8 per cell]
2 Y 0.1472 0.1694 0.4466 [8 per cell]
3 Y 0.1559 0.5000 0.4450 [4 per cell]
4 Y 0.1864 0.1755 0.6664 [8 per cell]
5 Y 0.1992 0.5000 0.6538 [4 per cell]
6 Y 0.2109 0.2616 0.7971 [8 per cell]
7 Y 0.2259 0.5000 0.8725 [4 per cell]
8 Y 0.2274 0.0000 0.8669 [4 per cell]
9 Th 0.2484 0.5000 0.0016 [4 per cell]
10 Sc 0.0341 0.0000 0.2418 [4 per cell]
11 Sc 0.0562 0.5000 0.2449 [4 per cell]

***

Entry 2:
The following is a calculated X-ray powder pattern of YTh2Sc7. It was derived from a DFT-relaxed cell (PBE, Alexandria), using Cu Ka.

The 10 most intense peaks (10° ≤ 2θ ≤ 80°), in order of rising 2θ:
(1 3 0), 17.44 deg, 5.085 Å, rel. 35
(1 5 0), 21.85 deg, 4.068 Å, rel. 65
(0 0 1), 27.22 deg, 3.276 Å, rel. 45
(2 4 0), 31.96 deg, 2.800 Å, rel. 29
(1 3 1), 32.52 deg, 2.753 Å, rel. 100
(0 10 0), 33.03 deg, 2.712 Å, rel. 56
(1 5 1), 35.18 deg, 2.551 Å, rel. 39
(2 6 0), 35.30 deg, 2.542 Å, rel. 27
(1 7 1), 38.87 deg, 2.317 Å, rel. 55
(2 2 1), 40.80 deg, 2.212 Å, rel. 26

Lattice parameters (Å, degrees): 6.1495 27.1221 3.2749 90.00 90.00 90.00
Space group Cmmm (No. 65)
Unique sites:
1 Y 0.0000 0.0000 0.0000 [2 per cell]
2 Th 0.0000 0.2000 0.5000 [4 per cell]
3 Sc 0.0000 0.3088 0.0000 [4 per cell]
4 Sc 0.0000 0.5000 0.5000 [2 per cell]
5 Sc 0.2476 0.3997 0.5000 [8 per cell]

***

Entry 3:
The following is a calculated X-ray powder pattern of Y10ThSc4. It was derived from a DFT-relaxed cell (PBE, Alexandria), using Cu Ka.

The 10 most intense peaks (10° ≤ 2θ ≤ 80°), in order of rising 2θ:
(2 1 1), 21.05 deg, 4.221 Å, rel. 46
(3 1 0), 22.90 deg, 3.884 Å, rel. 67
(1 1 2), 28.96 deg, 3.083 Å, rel. 65
(3 2 1), 29.51 deg, 3.027 Å, rel. 38
(2 4 0), 32.60 deg, 2.747 Å, rel. 100
(4 1 1), 32.99 deg, 2.715 Å, rel. 24
(1 3 2), 35.71 deg, 2.514 Å, rel. 77
(3 3 2), 41.51 deg, 2.176 Å, rel. 26
(6 2 0), 46.72 deg, 1.944 Å, rel. 68
(2 4 4), 66.09 deg, 1.414 Å, rel. 24

Lattice parameters (Å, degrees): 12.2828 12.2828 6.5966 90.00 90.00 90.00
Space group I4/m (No. 87)
Unique sites:
1 Y 0.0000 0.5000 0.2500 [4 per cell]
2 Y 0.1210 0.7219 0.2428 [16 per cell]
3 Th 0.0000 0.0000 0.0000 [2 per cell]
4 Sc 0.0675 0.1722 0.5000 [8 per cell]

***

Entry 4:
The following is a calculated X-ray powder pattern of Y3ThSc. It was derived from a DFT-relaxed cell (PBE, Alexandria), using Cu Ka.

The 10 most intense peaks (10° ≤ 2θ ≤ 80°), in order of rising 2θ:
(1 0 1), 15.64 deg, 5.667 Å, rel. 41
(0 0 6), 21.98 deg, 4.043 Å, rel. 40
(1 1 3), 28.74 deg, 3.107 Å, rel. 36
(1 0 7), 30.00 deg, 2.979 Å, rel. 54
(0 2 1), 30.91 deg, 2.893 Å, rel. 100
(0 1 8), 33.30 deg, 2.690 Å, rel. 53
(0 2 4), 34.14 deg, 2.627 Å, rel. 53
(2 0 5), 35.95 deg, 2.498 Å, rel. 73
(1 2 8), 51.26 deg, 1.782 Å, rel. 32
(2 2 0), 54.55 deg, 1.682 Å, rel. 38

Lattice parameters (Å, degrees): 6.7295 6.7295 24.2585 90.00 90.00 120.00
Space group R-3m (No. 166, hexagonal axes)
Unique sites:
1 Y 0.0071 0.5035 0.3880 [18 per cell]
2 Th 0.0000 0.0000 0.4303 [6 per cell]
3 Sc 0.0000 0.0000 0.1664 [6 per cell]

***

Entry 5:
The following is a calculated X-ray powder pattern of Y2Th5Sc5. It was derived from a DFT-relaxed cell (PBE, Alexandria), using Cu Ka.

The 10 most intense peaks (10° ≤ 2θ ≤ 80°), in order of rising 2θ:
(1 1 0), 19.54 deg, 4.543 Å, rel. 13